Torta for La Epifania
Since my son’s homeschool plan includes Italian, we signed up for the weekly email from Dianne Hale, entitled, “La Bella Lingua – Becoming Italian Word by Word.”
This week, we learned that January 6th, the traditional day of Epiphany, is a huge celebration in Italy.
“The final feast is l’Epifania, on January 6, which commemorates the arrival of i re magi, the three kings who followed the bright Christmas star (stella cometa) to bring gifts for Baby Jesus (bambino Gesu).”
Since we are busy on the 6th, we decided to celebrate a day early with an Italian meal (which really isn’t all that unusual at our house), and chose a vegetable torta (which is unusual for our house). We learned torta is singular and torte is plural. We only needed una torta, so I gathered just enough delicious veggies, chopped and roasted them, and then assembled the layers.
Not remembering my springform pan had the latch fly off the last time I used it, (hmmm . . . it was only 20 years old) I made do with a deep cake pan (10×4) lined with foil and coated with non-cook spray.
I decided to add rigatoni, and layered peppers, onions, squash, carrots, sweet potato, spinach and my favorite, beets.Okay, the beets were on the bottom, and made a huge mess, although it was a beautiful, deep red mess. Next time, eggplant will be on the bottom. The peppers on the top looked pretty, although my son thought it was salmon. Um, no.
In between the layers of vegetables, I sprinkled mozzarella cheese and spread pesto for two of the layers. Three eggs beat together and seasoned with Italian seasonings were poured between the layers to help it set. Baked at 400° for 30-40 minutes, then cooled for 30 minutes before flipping over, it was . . . La maggior parte dei vegetali deliziosa torta che hai mai mangiato! (The most delicious vegetable torta you’ve ever eaten!).
And although I could have had just the torta for a main course, I felt sorry for the meat-lovers and gave them some baked chicken to go with the torta. When my son saw the final presentation, he looked shocked and said,
“Seriously? A cake made of nothing but vegetables?” Oh, the torture of a torta.
(But he had two servings).
Buona L’Epifania to you!
If you want to take a look at Diane Hale’s La Bella Lingua, which we use to supplement the language class, click HERE.
Leslie Anne… where do I sign up for your home school class? Great photos and looks positively delish!! Can’t wait to read your column about “so.”
So . . . I think you would make a great addition to our class! I would teach you dishwashing skills! Hahaha!
Oh yum Leslie Anne, I would love this recipe. All recipes made in one dish makes me happy! Enjoyed the information about the traditional day of Epiphany in Italy. Your son has a cute sense of humor……….
It really was delicious and I’m getting ready to have leftovers for lunch today! And “cute” doesn’t begin to describe this kid!
Magnifico! Don’t know if this is right — I am still working on it!
It certainly looks pretty.
I think you are spot-on! It actually tasted better than it looked!
Happy New Year, Little Bitty Pretty One! Oooo…this looks mighty tasty! Been to Italy 3 times and would go again in a heart beat! 🙂 Well, after I get this old leg back in good shape! Thanks for popping in to see me.
Be a sweetie,
Shelia 😉
I’d love to go back to Italy again. The food was so unique and definitely not what we know as Italian here. This recipe turned out to be more like real Italian food, probably because everything in it was so fresh.
Happy healing to you and your poor leg!
Yum! This is like watching the Food Network and enjoying meals vicariously through others! Got any suggestions for a King Cake that actually tastes good? I’m thinking a Sara Lee Coffee Cake with purple, gold, and green sprinkles on top?
Want a good King Cake? Go to New Orleans!The local grocery stores should be banned from selling them.
Very cool Leslie Anne!!
Thanks, Kitchen Queen!
Honestly, it looks delicious. Right out of a magazine.
• Attached: molecular data:
ORCA calculation (wB97M-V/def2-TZVPD) on C20H28LaN2Si as an isolated structure in a non-equilibrium geometry.

Structure (XYZ):
```
52
Properties=species:S:1:pos:R:3:forces:R:3
C -2.745 1.828 2.858 -1.291 -1.356 1.148
C -3.147 1.185 1.627 -0.873 0.806 0.891
C -2.905 -0.218 1.770 -1.251 -0.385 0.484
H -3.593 1.710 0.777 0.172 -0.405 0.379
C -2.365 -0.466 3.071 -1.020 0.660 1.111
C -2.251 0.795 3.757 -2.274 0.423 -0.401
H -2.010 0.963 4.814 0.093 -0.204 -0.644
H -2.937 2.874 3.149 0.236 -0.741 -0.302
H -3.143 -0.975 1.032 0.073 0.098 0.106
H -2.121 -1.427 3.517 -0.035 0.190 -0.237
La -0.704 0.831 1.780 5.807 0.754 -2.162
C 2.388 0.408 -0.735 0.623 2.765 2.486
H -0.567 -0.533 -0.109 -0.393 0.004 -1.346
H 2.811 0.641 0.250 0.609 -0.202 0.074
H 1.458 0.996 -0.570 0.104 -0.628 -0.609
Si 0.513 -0.849 -1.131 0.565 -3.237 -0.689
C 0.818 -0.305 -2.930 -0.429 0.610 0.370
C -0.466 -0.263 -3.454 -0.013 0.292 -0.718
H -1.290 -0.620 -2.819 0.033 0.300 -0.531
C -0.696 0.218 -4.746 -0.335 -0.072 0.374
H -1.734 0.266 -5.053 0.150 0.076 -0.401
C 0.358 0.663 -5.536 -0.466 -0.457 0.382
H 0.132 1.046 -6.524 0.234 0.069 0.065
C 1.667 0.547 -5.059 -0.308 0.047 0.246
H 2.466 0.917 -5.697 0.080 -0.320 0.233
C 1.913 0.054 -3.773 -0.117 0.092 0.330
H 2.969 -0.034 -3.461 -0.777 0.072 0.013
C 0.709 -2.756 -1.383 -0.681 -0.213 0.552
C 0.526 -3.404 -2.630 -0.312 0.046 -0.002
H 0.613 -2.860 -3.575 -0.243 0.024 0.432
C 0.184 -4.762 -2.714 0.497 0.072 0.035
H -0.040 -5.207 -3.674 0.119 0.138 -0.124
C 0.145 -5.574 -1.584 -0.196 0.739 0.010
H -0.131 -6.627 -1.655 0.129 0.356 0.082
C 0.432 -4.961 -0.370 0.321 -0.328 0.326
H 0.433 -5.542 0.539 0.011 -0.205 0.108
C 0.735 -3.610 -0.256 -0.353 0.162 -0.201
H 0.961 -3.244 0.753 -0.185 0.145 -0.421
H 2.902 0.951 -1.484 0.782 0.067 -0.972
H 2.382 -0.663 -0.729 0.470 -0.430 -0.377
N 0.718 1.641 3.924 0.304 0.231 0.644
C 0.599 3.065 4.385 0.265 -0.277 -0.064
C 0.615 3.994 3.171 -0.389 0.103 0.009
N -0.352 3.507 2.152 -0.188 0.493 -0.259
H 1.704 1.455 3.734 -0.133 0.026 0.065
H 0.489 1.030 4.710 0.085 0.115 -0.199
H -0.347 3.172 4.954 0.501 -0.081 -0.346
H 1.452 3.317 5.048 -0.605 0.015 -0.196
H 0.337 5.015 3.487 0.391 -0.327 -0.051
H 1.617 4.024 2.709 -0.361 -0.029 0.217
H -1.302 3.786 2.411 0.416 -0.119 0.042
H -0.199 3.997 1.275 0.157 0.030 0.038
```
Positions in Å, forces in eV/Å.

Computed properties:
- HOMO-LUMO gap (alpha / beta) (eV) = 5.15 / 4.82
- net charge = +1
- calculated total energy (a.u.) = -1209.07012

ORCA calculation (wB97M-V/def2-TZVPD) on one molecule with the formula C20H28N2O6S in a non-equilibrium geometry.

Structure (XYZ):
```
57
Properties=species:S:1:pos:R:3:forces:R:3
C 7.466 0.493 1.592 0.033 -0.134 0.171
O 7.260 1.339 0.487 -0.084 0.173 -0.245
C 6.106 1.216 -0.221 -0.093 0.101 -0.196
C 5.957 2.093 -1.299 0.109 -0.086 0.180
C 4.822 2.050 -2.084 0.098 -0.009 0.084
C 3.817 1.138 -1.817 -0.132 -0.264 0.191
C 3.960 0.261 -0.745 0.549 0.395 -0.033
C 2.915 -0.698 -0.464 -1.094 -0.238 -0.548
Well, it did get a bit juicy, but I’ll know better next time! Thanks though.
When I saw the first picture I thought surely you had purchased this gorgeous creation! And all of those deep colored vegetables that are so nutrient packed. Well done, Leslie Anne!
I must click on that Becoming Italian Word by Word!
Thanks Dewena. You’ll love the web site, even if you don’t want to learn Italian, it always has something interesting about their culture.
I absolutely love this! We spent most of the holiday in Panama. They celebrate the entire 12 Days of Christmas with a big finish on Epiphany. It was lovely to hear holiday music and feeling the joy still going strong in the early New Year.
I saw your photos of Panama and it looked amazing. What an exotic place to spend Christmas! We tend to celebrate a lot before Christmas, but I like other countries that keep it going until Epiphany. It just seems more relaxing that way. Happy New Year!
My son was born on the day of Epiphany! I think we should begin this festival at our house in his honor!!! The recipe looks delicious!
Thanks Kim. The beginning of January is a nice time to have a birthday. After all the Christmas rush, and then the wise men come to bring gifts!
Delizios! Your torta looks like something from a Food Network show! Giada is going to be calling you as a consultant.
Ha! Don’t know about that, but I’d love to see her version! I’m sure it would be perfect.